Contents:
____________
Compound: Tb3HoTm2P6
Source: the Alexandria database
Functional: GGA-PBE
Structure: optimized geometry

```
Tb3HoTm2P6
1.0
6.9192 -0.0004 0.0013
-3.4582 5.9930 0.0013
-1.1534 -1.9972 6.5220
P Tb Ho Tm
6 3 1 2
direct
0.5834 0.9180 0.7541 P
0.2527 0.2527 0.7542 P
0.0820 0.4166 0.2459 P
0.9180 0.5834 0.7541 P
0.7473 0.7473 0.2458 P
0.4166 0.0820 0.2459 P
0.1664 0.8336 0.5000 Tb
0.8336 0.1664 0.5000 Tb
0.5000 0.5000 0.5000 Tb
0.0000 0.0000 0.0000 Ho
0.6667 0.3333 0.0000 Tm
0.3333 0.6667 0.0000 Tm
```

**Raw total energy**: -79.2 eV per cell
**Formation energy**: -1609 meV per atom
**Fermi-level density of states**: 0.14 states/eV/atom

---

Compound: Ta2BPPd
Source: the Alexandria database
Functional: GGA-PBE
Structure: optimized geometry

```
Ta2BPPd
1.0
-2.7547 1.1526 -3.3204
1.4061 -2.6783 -2.0962
-3.0729 -2.8376 1.5644
B Ta Pd P
1 2 1 1
direct
0.0000 0.0000 0.0000 B
0.5000 0.0000 0.0000 Ta
0.0000 0.0000 0.5000 Ta
0.5000 0.5000 0.5000 Pd
0.0000 0.5000 0.0000 P
```

**Raw total energy**: -39.8 eV per cell
**Formation energy**: 231 meV per atom
**Fermi-level density of states**: 0.96 states/eV/atom

---

Compound: Cu5AgAu6
Source: the Alexandria database
Functional: GGA-PBE
Structure: optimized geometry

```
Cu5AgAu6
1.0
-1.3910 -6.9155 4.6392
1.0492 -3.6301 -1.6075
6.1000 -1.2903 1.6503
Au Ag Cu
6 1 5
direct
0.2643 0.2356 0.0000 Au
0.2570 0.9098 0.6618 Au
0.7430 0.0902 0.3382 Au
0.7357 0.7644 0.0000 Au
0.7430 0.4283 0.6618 Au
0.2570 0.5717 0.3382 Au
0.0000 0.0000 0.0000 Ag
0.5000 0.8330 0.3340 Cu
0.5000 0.1670 0.6660 Cu
0.0000 0.6701 0.6599 Cu
0.5000 0.5000 0.0000 Cu
0.0000 0.3299 0.3401 Cu
```

**Raw total energy**: -43.3 eV per cell
**Formation energy**: -27 meV per atom
**Fermi-level density of states**: 0.28 states/eV/atom

---

Compound: RbNbHS2
Source: the Alexandria database
Functional: GGA-PBE
Structure: optimized geometry

```
RbNbHS2
1.0
-3.0966 -0.9811 3.5620
-1.2412 -3.0574 -1.9212
3.3458 -2.7159 2.1607
S Nb Rb H
2 1 1 1
direct
0.0000 0.0000 0.5000 S
0.5000 0.0000 0.0000 S
0.5000 0.5000 0.5000 Nb
0.0000 0.5000 0.0000 Rb
0.0000 0.0000 0.0000 H
```

**Raw total energy**: -19.2 eV per cell
**Fermi-level density of states**: 0.75 states/eV/atom

---

Compound: KCr2Mo
Source: the Alexandria database
Functional: GGA-PBE
Structure: optimized geometry

```
KCr2Mo
1.0
-0.1231 2.3788 0.9383
-1.7982 0.5874 -1.7251
-7.4893 -3.0564 6.7661
Cr K Mo
2 1 1
direct
0.0000 0.0000 0.9567 Cr
0.0000 0.0000 0.5433 Cr
0.5000 0.5000 0.2500 K
0.5000 0.5000 0.7500 Mo
```

**Raw total energy**: -26.5 eV per cell
**Formation energy**: 1168 meV per atom
**Fermi-level density of states**: 0.93 states/eV/atom

---

Compound: TbDySc6
Source: the Alexandria database
Functional: GGA-PBE
Structure: optimized geometry

```
TbDySc6
1.0
5.3053 0.0000 0.0000
0.0000 6.7735 -0.2206
0.0000 -3.1967 5.9758
Sc Tb Dy
6 1 1
direct
0.0000 0.5866 0.4134 Sc
0.5000 0.9135 0.0865 Sc
0.5000 0.9134 0.5759 Sc
0.0000 0.5867 0.9245 Sc
0.5000 0.4241 0.0866 Sc
0.0000 0.0755 0.4133 Sc
0.5000 0.4170 0.5830 Tb
0.0000 0.0830 0.9170 Dy
```

**Raw total energy**: -47.2 eV per cell
**Formation energy**: 6 meV per atom
**Fermi-level density of states**: 1.91 states/eV/atom

=====

1.
# PBE Ba2SbO, optimized geometry
data_Ba2SbO
_cell_length_a 9.2714
_cell_length_b 11.7861
_cell_length_c 4.9825
_cell_angle_alpha 90.00
_cell_angle_beta 90.00
_cell_angle_gamma 90.00
_space_group_name_H-M_alt 'P 1'
_space_group_IT_number 1
_space_group_name_Hall 'P 1'
loop_
_atom_site_label
_atom_site_type_symbol
_atom_site_fract_x
_atom_site_fract_y
_atom_site_fract_z
Ba1 Ba 0.0000 0.0000 0.0000
Ba2 Ba 0.0000 0.5000 0.5000
Ba3 Ba 0.2500 0.2500 0.0000
Ba4 Ba 0.2500 0.7500 0.0000
Ba5 Ba 0.5000 0.0000 0.5000
Ba6 Ba 0.5000 0.5000 0.0000
Ba7 Ba 0.7500 0.2500 0.0000
Ba8 Ba 0.7500 0.7500 0.0000
Sb1 Sb 0.0000 0.2074 0.5000
Sb2 Sb 0.0000 0.7926 0.5000
Sb3 Sb 0.5000 0.2926 0.5000
Sb4 Sb 0.5000 0.7074 0.5000
O1 O 0.2122 0.5000 0.0000
O2 O 0.2878 0.0000 0.0000
O3 O 0.7122 0.0000 0.0000
O4 O 0.7878 0.5000 0.0000
____________

To do:
Please count the lines further up that contain the word "energy" and give the number alone.

Reply:
11